Religious Studies

Megan Adamson Sijapati

# Someone pasted calculated crystals at this point
/*
The following is a r²SCAN calculation of CeNi12B6 after structural relaxation, from the Materials Project database.

## Properties
- Space-group type: P2_1, No. 4
- Magnetic moment: 0.9 μB per formula unit

```
CeNi12B6
1.0
6.001 0.000 0.000
0.000 10.968 0.000
-1.528 0.000 5.806
Ce Ni B
2 24 12
direct
0.168 0.000 0.168 Ce
0.832 0.500 0.832 Ce
0.007 0.560 0.371 Ni
0.121 0.742 0.853 Ni
0.147 0.242 0.879 Ni
0.196 0.763 0.461 Ni
0.210 0.223 0.474 Ni
0.223 0.399 0.223 Ni
0.274 0.430 0.657 Ni
0.344 0.930 0.727 Ni
0.370 0.560 0.007 Ni
0.432 0.581 0.432 Ni
0.461 0.763 0.196 Ni
0.473 0.222 0.211 Ni
0.527 0.722 0.789 Ni
0.539 0.263 0.804 Ni
0.568 0.081 0.568 Ni
0.630 0.060 0.993 Ni
0.656 0.430 0.273 Ni
0.726 0.930 0.343 Ni
0.777 0.899 0.777 Ni
0.790 0.723 0.526 Ni
0.804 0.263 0.539 Ni
0.853 0.742 0.121 Ni
0.879 0.242 0.147 Ni
0.993 0.060 0.629 Ni
0.014 0.876 0.602 B
0.164 0.665 0.164 B
0.249 0.612 0.677 B
0.323 0.112 0.751 B
0.398 0.376 0.986 B
0.487 0.339 0.487 B
0.513 0.839 0.513 B
0.602 0.876 0.014 B
0.677 0.612 0.249 B
0.751 0.112 0.323 B
0.836 0.165 0.836 B
0.986 0.376 0.398 B
```


The following is a r²SCAN calculation of Zr2Al3Ni after structural relaxation, from the Materials Project database.

## Properties
- Space-group type: R-3m, No. 166
- Magnetic moment: 0.0 μB per formula unit

```
Zr2Al3Ni
1.0
2.636 1.522 4.122
-2.636 1.522 4.122
0.000 -3.044 4.122
Zr Al Ni
2 3 1
direct
0.126 0.126 0.126 Zr
0.874 0.874 0.874 Zr
0.000 0.500 0.500 Al
0.500 0.000 0.500 Al
0.500 0.500 0.000 Al
0.500 0.500 0.500 Ni
```


The following is a r²SCAN calculation of Tb2MgGe2 after structural relaxation, from the Materials Project database.

## Properties
- Space-group type: P4/mbm, No. 127
- Magnetic moment: 0.0 μB per formula unit

```
Tb2MgGe2
1.0
7.270 0.000 0.000
0.000 7.270 0.000
0.000 0.000 4.245
Tb Mg Ge
4 2 4
direct
0.178 0.322 0.000 Tb
0.322 0.822 0.000 Tb
0.678 0.178 0.000 Tb
0.822 0.678 0.000 Tb
0.000 0.000 0.500 Mg
0.500 0.500 0.500 Mg
0.122 0.622 0.500 Ge
0.378 0.122 0.500 Ge
0.622 0.878 0.500 Ge
0.878 0.378 0.500 Ge
```


The following is a r²SCAN calculation of Nd2Ni12P5 after structural relaxation, from the Materials Project database.

## Properties
- Space-group type: P2_1/m, No. 11
- Magnetic moment: 0.0 μB per formula unit

```
Nd2Ni12P5
1.0
10.773 0.000 0.000
0.000 3.650 0.000
-4.006 0.000 12.397
Nd Ni P
4 24 10
direct
0.221 0.250 0.183 Nd
0.254 0.250 0.688 Nd
0.746 0.750 0.312 Nd
0.779 0.750 0.817 Nd
0.062 0.750 0.296 Ni
0.078 0.750 0.990 Ni
0.082 0.750 0.491 Ni
0.096 0.750 0.804 Ni
0.202 0.250 0.418 Ni
0.213 0.250 0.939 Ni
0.342 0.750 0.062 Ni
0.343 0.750 0.364 Ni
0.429 0.250 0.514 Ni
0.435 0.250 0.948 Ni
0.489 0.750 0.650 Ni
0.494 0.750 0.841 Ni
0.506 0.250 0.159 Ni
0.511 0.250 0.350 Ni
0.565 0.750 0.052 Ni
0.571 0.750 0.486 Ni
0.657 0.250 0.636 Ni
0.658 0.250 0.938 Ni
0.787 0.750 0.061 Ni
0.798 0.750 0.582 Ni
0.904 0.250 0.196 Ni
0.918 0.250 0.509 Ni
0.922 0.250 0.010 Ni
0.938 0.250 0.704 Ni
0.007 0.250 0.879 P
0.008 0.750 0.629 P
*/
# Back to the entry


Religious Studies



Campus Box 0408


Weidensall Hall
Room 303
300 North Washington St.
Gettysburg, PA 17325-1400




PhD University of California, Santa Barbara, 2007
MA University of Colorado, 2001
BA Colorado College, 1996

Academic Focus

Islam; South Asia; the body; violence/non-violence; rel. & modernity; digital religion; contemplative traditions, Islam & Sufism in North America

Megan Adamson Sijapati's research and teaching areas are religion & modernity, religious violence & non-violence, identity, revivalism & authority, space/place, the body, digital religion. She specializes in Islam and Muslim cultures, Sufism, South Asia, and North America.

She is the 2019 recipient of the JCCTL Excellence in Teaching Award.

Megan was Chair of the Department of Religious Studies from 2017-2020 and Co-Chair of the Globalization Studies program from 2014-17. She is a founding and continuing member of the Advisory Committee for Middle East & Islamic Studies (MEIS). She serves on the advisory committees for Peace & Justice Studies and Public Policy. She served for two years as a Community Based Learning Fellow through the Center for Public Service and a Digitial Technology Fellow.

Beyond the college, Dr. Sijapati recently served as Co-Chair of the American Academy of Religion's Body in Religion program unit. She is on the Executive Board of the South Asian Muslim Studies Association.

(Next to the piece, the page also holds calculated crystals)
┌──
(A)
The following is a PBE calculation of Lu4B6O15 after structural relaxation, from the Materials Project database.

Cell: 7.943 7.943 7.943 Å, 112.00 112.00 112.00°
Element x y z (fractional)
Lu 0.000 0.000 0.000
Lu 0.102 0.808 0.286
Lu 0.286 0.102 0.808
Lu 0.808 0.286 0.102
B 0.194 0.278 0.507
B 0.278 0.507 0.194
B 0.507 0.194 0.278
B 0.519 0.857 0.600
B 0.600 0.519 0.857
B 0.857 0.600 0.519
O 0.055 0.254 0.315
O 0.094 0.516 0.122
O 0.122 0.094 0.516
O 0.254 0.315 0.055
O 0.315 0.055 0.254
O 0.361 0.893 0.595
O 0.410 0.482 0.692
O 0.482 0.692 0.410
O 0.516 0.122 0.094
O 0.595 0.361 0.893
O 0.692 0.410 0.482
O 0.731 0.999 0.807
O 0.807 0.731 0.999
O 0.893 0.595 0.361
O 0.999 0.807 0.731


(B)
The following is a PBE calculation of Lu4B6O15 after structural relaxation, from the Materials Project database.

Cell: 6.181 6.181 18.677 Å, 95.82 95.82 41.43°
Element x y z (fractional)
Lu 0.063 0.669 0.900
Lu 0.068 0.657 0.698
Lu 0.331 0.937 0.600
Lu 0.343 0.932 0.802
Lu 0.657 0.068 0.198
Lu 0.669 0.063 0.400
Lu 0.932 0.343 0.302
Lu 0.937 0.331 0.100
B 0.021 0.642 0.525
B 0.197 0.609 0.087
B 0.204 0.659 0.306
B 0.341 0.796 0.194
B 0.358 0.979 0.975
B 0.391 0.803 0.413
B 0.609 0.197 0.587
B 0.642 0.021 0.025
B 0.659 0.204 0.806
B 0.796 0.341 0.694
B 0.803 0.391 0.913
B 0.979 0.358 0.475
O 0.003 0.250 0.981
O 0.052 0.316 0.704
O 0.071 0.565 0.139
O 0.091 0.493 0.450
O 0.130 0.870 0.250
O 0.157 0.813 0.379
O 0.187 0.843 0.121
O 0.250 0.003 0.481
O 0.287 0.546 0.571
O 0.316 0.052 0.204
O 0.333 0.535 0.803
O 0.435 0.929 0.361
O 0.454 0.713 0.929
O 0.465 0.667 0.697
O 0.493 0.091 0.950
O 0.507 0.909 0.050
O 0.535 0.333 0.303
O 0.546 0.287 0.071
O 0.565 0.071 0.639
O 0.667 0.465 0.197
O 0.684 0.948 0.796
O 0.713 0.454 0.429
O 0.750 0.997 0.519
O 0.813 0.157 0.879
O 0.843 0.187 0.621
O 0.870 0.130 0.750
O 0.909 0.507 0.550
O 0.929 0.435 0.861
O 0.948 0.684 0.296
O 0.997 0.750 0.019


The energetic minimum among the shown structures is (B); the next structure lies 5.0 kJ/mol of atoms above.
└──

Select peer-reviewed publications:

2022: “‘The Body Is a Tool for remembrance’: Healing, Transformation, and the Instrumentality of the Body in a North American Sufi Order”. Body and Religion 5 (1):96–115.

2022: "Islamic Meditation: Mindfulness Apps for Muslims in the Digital Spiritual Marketplace" in Cyber Islam, ed. Robert Rozehnal, R. (Bloomsbury Press)

2021 book: Muslim Communities and Cultures of the Himalaya: Conceptualizing the Global Ummah. Co-editor with Jacqueline H. Fewkes. (London and New York: Routledge Press).

2021: "Diversity, Continuity, and Disjuncture: Approaching Multivocal Perspectives on Being Muslim in the Himalaya," co-author with JH Fewkes in Muslim Communities and Cultures of the Himalaya (London and New York: Routledge Press).

2019: "Sufi Remembrance Practices in the Meditation Marketplace of a Mobile App" In Anthropological Perspectives on the Religious Uses of Mobile Apps. Fewkes J. (ed) (Cham, Switzerland: Palgrave Macmillan)

2018: "Preparing for the House of God: Nepali Muslim Narratives of the Hajj," Himalaya 38, no. 2: 106-116.

2017: “Muslim Belonging in Hindu South Asia: Ambivalence and Difference in Nepali Public Discourses,” Society and Culture in South Asia 3, no. 2 (August 2017): 198-219. 

2016 book: “Modern Religiosities and Religious Modernities: Views from the Himalaya,” in Religion and Modernity in the Himalaya, eds. M A Sijapati and J V Birkenholtz (London: Routledge).

2016: Religion and Modernity in the Himalaya. Co-ed. with J V Birkenholtz (London: Routledge).

2016: “From Heavy Beads to Safety Pins: Adornment and Religiosity in Hindu Women’s Pote Practices” co-author with T Harris. Material Religion: The Journal of Objects, Art and Belief. 12:1, 1-25.

2012: “Mawdudi’s Islamic Revivalist Ideology and the Islami Sangh Nepal,” Studies in Nepali History and Society17, no. 1: 41-61.

2011 book: Islamic Revival in Nepal: Religion and a New Nation (London: Routledge). (Paperback & South Asia editions, 2012).

2011: “Muslims in Nepal: The Local and Global Dimensions of a Changing Religious Minority,” Religion Compass 5, no. 11: 656-65.

*for full list see C.V.

Courses Taught